
Virtual Roundtables

- - -
# BPbOF2 (SCAN, PBEsol geometry)
# calculated total energy	-103.6	eV for the cell shown
data_BPbOF2
_chemical_formula_sum 'B1 Pb1 O1 F2'
_cell_length_a 4.636
_cell_length_b 4.636
_cell_length_c 2.747
_cell_angle_alpha 90.00
_cell_angle_beta 90.00
_cell_angle_gamma 90.00
_symmetry_space_group_name_H-M 'P 4/m m m'
_symmetry_Int_Tables_number 123
_symmetry_space_group_name_Hall '-P 4 2'
loop_
_atom_site_label
_atom_site_fract_x
_atom_site_fract_y
_atom_site_fract_z
B1 0.000 0.000 0.000
Pb1 0.500 0.500 0.500
O1 0.000 0.000 0.500
F1 0.000 0.500 0.000

***

# B9Pb8O21F (SCAN, PBEsol geometry)
# calculated total energy	-5339.4	eV for the cell shown
data_B9Pb8O21F
_chemical_formula_sum 'B54 Pb48 O126 F6'
_cell_length_a 9.7554
_cell_length_b 9.7554
_cell_length_c 38.3251
_cell_angle_alpha 90.00
_cell_angle_beta 90.00
_cell_angle_gamma 120.00
_symmetry_space_group_name_H-M 'R -3 c'
_symmetry_Int_Tables_number 167
_symmetry_space_group_name_Hall '-R 3 2"c'
loop_
_atom_site_label
_atom_site_fract_x
_atom_site_fract_y
_atom_site_fract_z
B1 0.0000 0.1528 0.2500
B2 0.0363 0.4225 0.5350
Pb1 0.0000 0.0000 0.1645
Pb2 0.0093 0.2566 0.4595
O1 0.0000 0.1450 0.7500
O2 0.0179 0.2524 0.2189
O3 0.0290 0.4376 0.3213
O4 0.0838 0.2249 0.3729
F1 0.0000 0.0000 0.0000

***

# Pr4B4O11F2 (SCAN, PBEsol geometry)
# calculated total energy	-1402.1	eV for the cell shown
data_Pr4B4O11F2
_chemical_formula_sum 'Pr16 B16 O44 F8'
_cell_length_a 13.882
_cell_length_b 4.714
_cell_length_c 13.982
_cell_angle_alpha 90.00
_cell_angle_beta 91.04
_cell_angle_gamma 90.00
_symmetry_space_group_name_H-M 'C 1 2/c 1'
_symmetry_Int_Tables_number 15
loop_
_symmetry_equiv_pos_as_xyz
'x,y,z'
'-x,-y,-z'
'-x,y,-z+1/2'
'x,-y,z+1/2'
'x+1/2,y+1/2,z'
'-x+1/2,-y+1/2,-z'
'-x+1/2,y+1/2,-z+1/2'
'x+1/2,-y+1/2,z+1/2'
loop_
_atom_site_label
_atom_site_fract_x
_atom_site_fract_y
_atom_site_fract_z
Pr1 0.059 0.026 0.370
Pr2 0.221 0.022 0.128
B1 0.092 0.481 0.214
B2 0.094 0.449 0.527
O1 0.000 0.359 0.250
O2 0.080 0.162 0.538
O3 0.088 0.376 0.108
O4 0.100 0.220 0.725
O5 0.112 0.446 0.938
O6 0.171 0.318 0.257
F1 0.230 0.020 0.425

***

# BSbO2F (SCAN, PBEsol geometry)
# calculated total energy	-61.7	eV for the cell shown
data_BSbO2F
_chemical_formula_sum 'B1 Sb1 O2 F1'
_cell_length_a 4.032
_cell_length_b 4.032
_cell_length_c 4.234
_cell_angle_alpha 90.00
_cell_angle_beta 90.00
_cell_angle_gamma 90.00
_symmetry_space_group_name_H-M 'P 4/m m m'
- - -

SAH presented virtual roundtables throughout the month of May. These programs complemented the in-person conference programming and provided active, in-depth discussions on current conditions of scholarship, pedagogy, preservation, and student advocacy. All programs were recorded and videos are available below.

Program Date: Tuesday, May 2
Chat Transcript

This conversation is focused on a recently published edited volume, Exactitude: On Precision and Play in Contemporary Architecture, edited by Pari Riahi, Laure Katsaros, and Michael T. Davis (Amherst and Boston: UMass Press, 2022).

While precision has always been integral to architecture, new technologies, codes, and data have increased the demands for accuracy. Yet, the importance of precision, or exactitude, has not received the consideration it merits. This edited volume explores the demands exactitude makes on architecture, with 11 essays investigating the possibilities and shortcomings of exactitude. In bringing history, theory, and practice together, the work explores exactitude, tolerance, and play, through a broad range that covers the span of the 16th century to now, with particular focus on the 20th century. Featuring new work by theorists, historians, editors, and architects, this volume brings theory and practice into insightful and productive conversations. In addition to the editors, contributors include Mark Wigley, Alejandro Zaera-Polo, Eric Höweler, Christopher Benfey, Sunil Bald, Ada Tolla, and Giuseppe Lignano with Thomas de Monchaux, Alicia Imperiale, Francesca Hughes, Teresa Stoppani, and Cynthia Davidson.

In this virtual roundtable, we will endeavor to explore how exactitude is understood, absorbed, interpreted, tampered with, even undermined in historic, theoretical, artistic, and practical terms in architecture. This discussion concerns architecture as a creative and productive discipline and questions the use of technology, data, construction norms, and tolerances, in the conception and realization of architectural projects. It situates debates on exactitude in modern architecture, endeavors to show how tolerance and play can affect the development of projects and questions the role of data, and by extension new technologies in the recent past and current landscape of architecture.

Pari Riahi, Editor, Associate Professor, University of Massachusetts Amherst
Sunil Bald, Contributor, Associate Dean, Professor, Yale School of Architecture
Francesca Hughes, Contributor, Independent Scholar, Hughes Meyer Studio
Alicia Imperiale, Contributor, Acting Assistant Dean, Adjunct Associate Professor, Pratt Institute
Mark Wigley, Contributor, Professor, Dean Emeritus, GSAPP, Columbia University,
Antoine Picon, Respondent, G. Ware Travelstead Professor, GSD, Harvard University

Wednesday, May 3
12:00–1:30 pm CDT
This program was not recorded.

This roundtable continues the town hall conversation that took place at the annual conference in Montréal.

For architectural history to be more equitable, its high cost of entry must fall. PhDs with a low socioeconomic background find a decade of training challenging to afford. Parent PhDs struggle to afford childcare, while others put off having children altogether. For international PhDs working on a visa, the field’s new "global" gaze contrasts with their complicated and expensive travels. What would it look like if the discipline of architectural history centered these and other struggles?

While the discipline has yet to tackle this, the union wave sweeping across our campuses appears aimed to do so. PhDs in architectural history have certainly taken part. In the past year alone, grads have voted to unionize at many prominent private universities across the United States (including MIT, Yale, Northwestern, University of Southern California, and University of Chicago), with many more unionization efforts underway (such as Cornell, Princeton, Penn, Penn State, Pittsburgh, and Stanford.) These join a handful of existing unions at other private universities (like Columbia, NYU, and Harvard) and many long-standing unions across the public university systems (including California, Illinois, New York, Michigan, Wisconsin, Washington, and more.) In Canada, unions underway at University of British Columbia and elsewhere might soon join the list of unionized universities, including Carlton, McGill, Toronto, and York. How can we tie these efforts on our campuses to the interstitial structures of our academy?

All grads are invited to this town hall on how our academic societies, like SAH, can join with efforts on our campuses to bring about living wages for architectural historians.

Program Date: Tuesday, May 9
Chat Transcript

China has a rich built heritage, yet this fact belies Chinese notions of what constitutes preservation. This roundtable approaches contemporary heritage preservation in China, framing notions of preservation from an Indigenous perspective that challenges Western-centric notions of authenticity and integrity. Our panel will proceed from the Chinese conception of wenhua (culture), more precisely translated as “the transforming (preserving) influence of writing” and what panelist Li Shiqiao has described as “poetic productions of text based memory,” whereby architecture is actively preserved within a literary tradition. The following panelists will introduce their works on:

  • the Communist Party of China’s heritage preservation as a lived culture by examining its conservation of the former residence of Mao Zedong (Zhe Dong)
  • the virtual restoration of a shikumen-style house based on the residents’ memory, and conservation challenges presented by inhabited heritage (Yingchun Li)
  • Xiujiurujiu (repairing the old to make it look old) in reconstruction and restoration, and how different stakeholders use xiujiurujiu to appropriate heritage values for specific goals (Bo Bian)
  • the erosion of the integrity of historic fabric in Shanghai’s old town due to redevelopment practices that assign low priority to landmarks and neighborhoods (Katya Knyazeva)
  • how the emergence of a grass-roots preservationist community in Chinese social media reframe orthodox notions of heritage preservation (Kelly Ritter)

Then the panel will enter into a rigorous and critically engaged discussion of heritage preservation in modern China.

An interrogation of Chinese conceptions of memory and authenticity destabilizes not only the debate about how and why we preserve our constructed environment, but the unspoken premise that Western principles of preservation tied to physical and historical integrity represent best practices for China. Participants will walk away with a more dynamic understanding about what constitutes the most crucial methods of heritage preservation when you decenter the West.

Yingchun Li, Tongji University
Shiqiao Li, University of Virginia
Zhe Dong, Huazhong University of Science and Technology
Kelly W.S. Ritter, Bay Area Cultural Heritage Coalition
Katya Knyazeva, Universitá del Piemonte Orientale
Bo Bian, University of Virginia

Program Date: Tuesday, May 16
Chat Transcript
Join Annmarie Adams for a conversation about her 2023 Eduard F. Sekler Talk, "Shift Work: The Hospital in Histories of Architecture and Medicine," which she delivered at the SAH 2023 Annual International Conference in Montréal. SAH Graduate Student Advisory Committee member Sben Korsh will moderate the discussion. (You do not need to have seen Adams' talk to participate in this conversation.)

The work of Annmarie Adams bridges the worlds of architectural and medical history. Adams has served as both Director of the School of Architecture, where she has taught for more than 30 years, and Chair of the Department of Social Studies of Medicine at McGill University in Montréal. She currently holds the Stevenson Chair in the Philosophy and History of Science, including Medicine. Her award-winning books include Architecture in the Family Way: Doctors, Houses, and Women, 1870–1900; ‘Designing Women’: Gender and the Architectural Profession (co-authored with Peta Tancred), and Medicine by Design: The Architect and the Modern Hospital, 1893–1943. Her expertise on health and design is much cited by the media, including The Atlantic, Elle Décor, Financial Times Magazine, The Guardian, Nature, New York Times, and WIRED. Adams’ awards include the Jason Hannah Medal from the Royal Society of Canada, a Health Career Award from the Canadian Institutes of Health Research, and a YWCA Woman of Distinction prize. She is a Fellow of both the Royal Architectural Institute of Canada and the Canadian Academy of Health Sciences. She has served on the SAH Board of Directors and is currently vice president of the Canadian Society for the History of Medicine. This year Adams is on sabbatical to complete a spatial biography of cardiologist and museum curator Maude Abbott.

Program Date: Wednesday, May 17
Chat Transcript

This roundtable will provide SAH members with an opportunity to discuss recent preservation issues. The session will include a recap of the advocacy efforts of the SAH Heritage Conservation Committee over the last year, and will lead to an open conversation of recent preservation issues and controversies. Issues may include the preservation of modern and postmodern resources, the impacts of climate change upon historic resources, the challenge of providing workforce housing in historic neighborhoods, and recent challenges of transparency with regard to alteration and demolition of publicly-owned buildings. The SAH Heritage Conservation Committee looks to build upon the success of the roundtables held at the 2018 through 2022 SAH annual meetings, and looks forward to this annual event.

Moderator: Bryan Clark Green, Chair, Heritage Conservation Committee

Program Date: Thursday, May 18
Chat Transcript

This roundtable convenes scholars with expertise in developing classes and assignments in Asian American cultural heritage to share how Asian American and Pacific Islander (AAPI) buildings and landscapes can be used to teach architectural history and to transform our understanding of US history. The moderators and panelists will discuss how specific topics and assignments illuminate the diasporic nature of AAPI heritage and disrupt prevailing immigration narratives to complicate global architectural history. Panelists will share a teachable moment that draws on an AAPI case to make a larger point about the complexities of the AAPI presence in the US built environment and the richness of AAPI contributions to US architectural history. Drawn from the broader membership of the SAH Asian American & Diasporic Architectural History Affiliate Group, our presenters have developed and taught courses in AAPI art and architectural history, Asian American history and cultural studies at a broad range of public and private institutions, in disciplines ranging from design programs to an array of majors in the humanities and social sciences. Registration for the event is open to the public.


  • Sujin Eom (Dartmouth College)
  • Sean H. McPherson (Bridgewater State University)
  • Lauren Weiss Bricker, Cal Poly Pomona, “Preserving Riverside’s National Historical Landmark Harada House Empowers a Design Curriculum”
  • Edson Cabalfin, Tulane University, “Teaching Filipino Architecture to Children as Approach to Appreciating AAPI Heritage.”
  • Gabrielle Esperdy, New Jersey Institute of Technology, “Emerging Digital Models for Inclusive Architectural Histories.”
  • Michelle Magalong, University of Maryland, “Teaching Asian American Studies in Historic Preservation.”
  • Desiree Valadares, University of British Columbia, “Asian Canadian Studies in Transit.”
  • Hongyan Yang, Boston College, “Preserving AAPI Resources through Community-Engaged Teaching.”


Program Date: Tuesday, May 23
Chat Transcript

“Una unidad vecinal es una ciudad en miniatura en la cual están resueltos los problemas de habitación, educación, sanidad, vivienda, recreación y comercio para un número previamente determinado de habitantes [...] Sus habitantes no son ya los esclavos de la gran ciudad, sino sus servidores. [...] hacen una vida hogareña independiente, saliendo sólo los padres de familia para dirigirse al sitio del trabajo mientras las madres y los niños quedan seguros en el hogar. [...] Una unidad vecinal es, en suma, una población para seres humanos libres y sanos. La cuna para las nuevas generaciones que han de construir un Perú mejor”. (El Arquitecto Peruano, 1945)


Between 1930 and 1970, Latin American governments assumed the challenge of providing housing for the poor according to international development agendas which informed national plans to eradicate so-called slums. The Unidad Vecinal became the urban model most widely used to provide housing for a working class that never materialized fully in Latin America.

The purpose of this urban model was not only to reduce housing deficits, or to improve the living conditions of the urban poor, but also to absorb new urban residents into the dominant socio-economic system. Architects, planners, and government officials promoted a narrative in which the worker was a generic individual with no ethno-national origin. At the same time, an identity was created for women as housewives, while housing policy, if financing and design imposed the notion of the nuclear family. Thus, as Terry indicates, the Unidad Vecinal emerges as both a homogenizing tool and a disciplinary device: it converts members of a heterogeneous society into modern urban residents.

This roundtable adds to existing scholarship on the Unidad Vecinal by discussing the intersection amongst architecture, class, gender, and race in Latin American modern housing. Did a working class exist? Were there gender considerations in either housing policy of design process at the time? How did planner and architects engaged, or ignore, ethno-racial differences? These are only a few of the questions this roundtable will address.

Felipe Hernandez, University of Cambridge, UK

Flavia Britto Do Nascimento, Universidade de São Paulo FAUUSP, Brazil
Adriana Massidda, University of Sheffield, UK
Penélope Plaza, University of Reading, UK
Umberto Bonomo, Universidad Católica de Chile
Liliana Clavijo, Universidad del Valle, Columbia, and University of Michigan, USA

Program Date: Wednesday, May 24
Chat Transcript

Davide Spina, winner of the 2023 SAH David B. Brownlee Dissertation Award for "Christian Democrats, Architecture and Capitalist Development in Post-War Italy: Società Generale Immobiliare (SGI), 1945–75," will give an overview of his dissertation work and engage in a discussion with audience members on the changing nature of architecture history dissertations at this moment in time. The roundtable discussion will also provide a background on the award and the legacy of Professor Brownlee.

Program Date: Thursday, May 25
Chat Transcript
Fugitive Archives: A Sourcebook for Centring Africa in Histories of Architecture is a collection of primary sources chosen by each of the 10 researchers participating in Centring Africa: Postcolonial Perspectives on Architecture, the 2019–2022 iteration of the CCA’s Multidisciplinary Research Program organized with the support of the Andrew W. Mellon Foundation. The researchers are the late Doreen Adengo (Adengo Architecture, Kampala); Dele Adeyemo (Goldsmiths, University of London); Warebi Gabriel Brisibe and Ramota Obagah-Stephen (Rivers State University); Rachel Lee and Monika Motylinska (TU Delft; Leibniz Institute for Research on Society and Space); Ikem Stanley Okoye (University of Delaware); Cole Roskam (University of Hong Kong); Łukasz Stanek (University of Manchester; University of Michigan); Huda Tayob (University of Manchester).

_Misplaced records of crystals_
********
1.
This record from Alexandria describes crystalline La9Nd11Tm4 at its relaxed geometry. The functional is PBE-GGA.

Lattice parameters (Å, degrees): 16.0865 16.0865 3.7176 90.00 90.00 117.86
Fractional coordinates of all 24 atoms:
La 0.0000 0.0000 0.0000
La 0.1151 0.6715 0.0000
La 0.2949 0.4675 0.0000
La 0.3285 0.8849 0.0000
La 0.4675 0.2949 0.0000
La 0.5325 0.7051 0.0000
La 0.6715 0.1151 0.0000
La 0.7051 0.5325 0.0000
La 0.8849 0.3285 0.0000
Nd 0.0995 0.4639 0.5000
Nd 0.1223 0.8777 0.5000
Nd 0.2399 0.2399 0.5000
Nd 0.3219 0.6781 0.5000
Nd 0.4639 0.0995 0.5000
Nd 0.5000 0.5000 0.5000
Nd 0.5361 0.9005 0.5000
Nd 0.6781 0.3219 0.5000
Nd 0.7601 0.7601 0.5000
Nd 0.8777 0.1223 0.5000
Nd 0.9005 0.5361 0.5000
Tm 0.0732 0.2661 0.0000
Tm 0.2661 0.0732 0.0000
Tm 0.7339 0.9268 0.0000
Tm 0.9268 0.7339 0.0000

Output
The calculation puts the formation energy at 1.20 eV/f.u. The value obtained for the spin magnetization is 0.3 μB/cell. Its crystal system is orthorhombic. Its total energy is -4.7284 eV/atom.



2.
This record from Alexandria describes crystalline La2Nd7Tm2 at its relaxed geometry. The functional is PBE-GGA.

Lattice parameters (Å, degrees): 8.2268 8.2268 6.1665 105.60 105.60 89.98
Fractional coordinates of all 11 atoms:
La 0.0740 0.0740 0.3030
La 0.9260 0.9260 0.6970
Nd 0.0872 0.5482 0.3199
Nd 0.2750 0.2750 0.9055
Nd 0.4518 0.9128 0.6801
Nd 0.5000 0.5000 0.5000
Nd 0.5482 0.0872 0.3199
Nd 0.7250 0.7250 0.0945
Nd 0.9128 0.4518 0.6801
Tm 0.2838 0.7162 0.0000
Tm 0.7162 0.2838 0.0000

Output
As for the energy above the most stable polymorph in this dataset: 0.000 eV/atom. The calculation puts the formation energy at 1.40 eV/f.u. The value obtained for the spin magnetization is 0.0 μB/cell. Its crystal system is monoclinic. Its total energy is -4.6152 eV/atom.



3.
This record from Alexandria describes crystalline LaNdTm at its relaxed geometry. The functional is PBE-GGA.

Lattice parameters (Å, degrees): 5.7702 5.7702 3.5088 90.00 90.00 120.00
Fractional coordinates of all 3 atoms:
La 0.0000 0.0000 0.0000
Nd 0.6667 0.3333 0.5005
Tm 0.3333 0.6667 0.0015

Output
As for the energy above the most stable polymorph in this dataset: 0.044 eV/atom. The calculation puts the formation energy at 0.21 eV/f.u. The value obtained for the spin magnetization is 0.0 μB/cell. Its crystal system is trigonal. Its total energy is -4.6532 eV/atom.



4.
This record from Alexandria describes crystalline La3Nd2Tm3 at its relaxed geometry. The functional is PBE-GGA.

Lattice parameters (Å, degrees): 8.7230 8.7230 6.1005 109.64 109.64 39.29
Fractional coordinates of all 8 atoms:
La 0.0000 0.0000 0.0000
La 0.1363 0.1363 0.6976
La 0.8637 0.8637 0.3024
Nd 0.2510 0.2510 0.3183
Nd 0.7490 0.7490 0.6817
Tm 0.3716 0.3716 0.9179
Tm 0.5000 0.5000 0.5000
Tm 0.6284 0.6284 0.0821

Output
********

Comprised of archival materials and documentation of varied media and formats, the collected sources offer unique readings of different actors, structures, and geographies—on and off the Continent—that multiply histories of modern African architecture. Rather than suggesting key, but inevitably reductive, themes, the three sections of the book bring into dialogue sources that foreground similar approaches to location and accessing archives. These open-ended groupings are framed by conversations between the researchers about the “how” of centering Africa through archival research—methods and challenges of different ways of finding, seeing, and listening. Fugitive Archives offers students, educators, and researchers a critical resource for expanding and/or dismantling existing architectural and colonial archives, for teaching global architecture history, and for future scholarship.

This is the CCA’s latest publication and will be printed in April 2023. This roundtable will be one of the first occasions for readers to encounter the work. The book will serve as a starting point for a discussion on stretching and reimagining archival futures for the African continent.

Claire Lubell, Canadian Centre for Architecture
Rafico Ruiz, Canadian Centre for Architecture

Rachel Lee, TU Delft
Ikem Stanley Okoye, University of Delaware
Huda Tayob, University of Manchester

Thandi Loewenson, Royal College of Art
Nokubekezela Mchunu, University College Dublin


SAH thanks The Richard H. Driehaus Foundation
for its operating support.
Society of Architectural Historians
1365 N. Astor Street
Chicago, Illinois 60610